
  • Anna Quindlen,  Inspirational quotes,  relationships

    Glittering magical moments

Someone pasted data records at this point.
Here is crystalline Gd5Pb3 at its relaxed geometry from the Materials Project. Energies are from PBE.

E_form: -542 meV/atom
Symmetry: P6_3/mcm, No. 193

Cell lengths 9.202, 9.202, 6.746 Å; angles 90.00, 90.00, 120.00 degrees
Fractional positions:
Gd: 0.000 0.239 0.250
Gd: 0.000 0.761 0.750
Gd: 0.239 0.000 0.250
Gd: 0.239 0.239 0.750
Gd: 0.333 0.667 0.000
Gd: 0.333 0.667 0.500
Gd: 0.667 0.333 0.000
Gd: 0.667 0.333 0.500
Gd: 0.761 0.000 0.750
Gd: 0.761 0.761 0.250
Pb: 0.000 0.395 0.750
Pb: 0.000 0.605 0.250
Pb: 0.395 0.000 0.750
Pb: 0.395 0.395 0.250
Pb: 0.605 0.000 0.250
Pb: 0.605 0.605 0.750

=====

Here is crystalline GdPb3 at its relaxed geometry from the Materials Project. Energies are from PBE.

E_form: -333 meV/atom
Symmetry: Pm-3m, No. 221

Cell lengths 4.917, 4.917, 4.917 Å; angles 90.00, 90.00, 90.00 degrees
Fractional positions:
Gd: 0.000 0.000 0.000
Pb: 0.000 0.500 0.500
Pb: 0.500 0.000 0.500
Pb: 0.500 0.500 0.000

=====

Here is crystalline GdPd3 at its relaxed geometry from the Materials Project. Energies are from PBE.

E_form: -867 meV/atom
Symmetry: Pm-3m, No. 221

Cell lengths 4.160, 4.160, 4.160 Å; angles 90.00, 90.00, 90.00 degrees

    “Life is made up of moments, small pieces of glittering mica in a long stretch of gray cement. It would be wonderful if they came to us unsummoned, but particularly in lives as busy as the ones most of us lead now, that won’t happen. We have to teach ourselves how to make room for them, to love them, and to live, really live.” ~Anna Quindlen, A Short Guide to a Happy Life When we list the highlights summer, we might focus on the major milestones of the season — weddings, graduation parties, school reunions, or family vacations. Likewise, when we chronicle our whole lives in retrospect, we tend to list…

  • Friendship and relationship advice,  relationships

    There’s a word for it

### These materials data were left in the article by mistake
........
No. 1
The following is a GGA+U calculation of crystalline ErAgW2O8 at its relaxed geometry, from the Materials Project.

a = 7.378 Å, b = 7.378 Å, c = 7.279 Å
α = 114.10°, β = 114.10°, γ = 94.61°
Element x y z (fractional)
Er1 0.199 0.801 0.000
Er2 0.801 0.199 0.000
Ag1 0.181 0.181 0.522
Ag2 0.819 0.819 0.478
W1 0.287 0.287 0.028
W2 0.336 0.664 0.500
W3 0.664 0.336 0.500
W4 0.713 0.713 0.972
O1 0.053 0.053 0.860
O2 0.145 0.396 0.240
O3 0.188 0.717 0.652
O4 0.200 0.460 0.911
O5 0.283 0.812 0.348
O6 0.396 0.145 0.240
O7 0.460 0.200 0.911
O8 0.478 0.478 0.659
O9 0.522 0.522 0.341
O10 0.540 0.800 0.089
O11 0.604 0.855 0.760
O12 0.717 0.188 0.652
O13 0.800 0.540 0.089
O14 0.812 0.283 0.348
O15 0.855 0.604 0.760
O16 0.947 0.947 0.140

**Space-group type**: No. 12
**Crystal system**: monoclinic
**E_form**: -2.380 eV/atom

No. 2
The following is a GGA+U calculation of crystalline EuAgW2O8 at its relaxed geometry, from the Materials Project.

a = 7.552 Å, b = 7.552 Å, c = 7.468 Å
α = 114.49°, β = 114.49°, γ = 94.10°
Element x y z (fractional)
Eu1 0.199 0.801 0.000
Eu2 0.801 0.199 0.000
Ag1 0.192 0.192 0.514
Ag2 0.808 0.808 0.486
W1 0.288 0.288 0.033
W2 0.336 0.664 0.500
W3 0.664 0.336 0.500
W4 0.712 0.712 0.967
O1 0.059 0.059 0.863
O2 0.154 0.400 0.246
O3 0.184 0.715 0.640
O4 0.200 0.453 0.915
O5 0.285 0.816 0.360
O6 0.400 0.154 0.246
O7 0.453 0.200 0.915
O8 0.478 0.478 0.657
O9 0.522 0.522 0.343
O10 0.547 0.800 0.085
O11 0.600 0.846 0.754
O12 0.715 0.184 0.640
O13 0.800 0.547 0.085
O14 0.816 0.285 0.360
O15 0.846 0.600 0.754
O16 0.941 0.941 0.137

**Space-group type**: No. 12
**Crystal system**: monoclinic
**E_form**: -2.194 eV/atom
........
### The materials data stop here

    “When we love someone, we share things with words. We share poems. We share songs. We share our favorite books. Because if we can make enough language bridges between the two of us, our hearts and minds will begin to know each other better.” ~Martha Beck Cleaning out my desk recently, I ran across several folders stuffed with old greeting cards, notes, and letters from friends and family. There were Mother’s Day tributes from my son; letters of comfort sent after my mother died; anniversary cards and valentines from my husband; thank-you notes from old and new friends. Another file contained encouraging letters from readers of my early newspaper columns.…

  • Communication,  Greenfield Village and Henry Ford Musuem,  Health & wellbeing,  relationships


    “We live in a time when people have unprecedented access to us. Bosses and coworkers expect you to read emails and DMs late at night, friends and family go into long rants over the phone or texts and expect instant feedback. Sometimes we have to say, ‘I don’t have the capacity to hold you right now because I’m trying to hold myself.'” ~Melanie Santos Stone walls, fences, and guard rails define our limits and announce our boundaries. They protect our property or keep us from falling over the edge. Along these lines, emotional boundaries helps us guard our time and privacy. While the internet serves as an invaluable communication tool,…

  • Communication,  relationships

    Words and feelings

    “People will forget what you said, people will forget what you did, but people will never forget how you made them feel.” ~Maya Angelou As the old adage goes, it’s not just what we say that matters — but how we say it. While preparing for an essay workshop I coached last month, I ran across some notes I’d made about the importance of “voice and tone” in our writing. Since most personal essays are conversational, our job as writers is to draw readers into the heart and soul of our stories. We want others to relate to our experiences; we don’t want to alienate them. The same is true…

  • Communication,  Health & wellbeing,  relationships

    Love and struggle

    “Love isn’t a state of perfect caring. It’s an active noun, like ‘struggle.'”~Fred Rogers Relationships of any kind will evolve, change, and reshape themselves. In the early stages, we tend to idealize a new partner as well as our new friends. But who on earth can live up to our highest expectations — all of the time? The longer we know and love someone, and the more we grow, the more likely we’ll encounter a few obstacles, conflicts, and disappointments. Sometimes we’re called to struggle with a crisis together, or we need extra support to handle a problem or a challenge. Fragile relationships won’t withstand the stress — but the…